[Contents]
<<<
Entry a
DFT (PBE) results for an optimized crystal structure of NaScP2.

abc: 5.1540 5.1540 9.0708
angles: 73.50 73.50 90.00
With the nearest neighbours (Å) after each atom.
Fractional coordinates of all 8 atoms:
Sc (0.0000, 0.0000, 0.0000)  4 P 2.47
Sc (0.7500, 0.2500, 0.5000)  4 P 2.47
P (0.8001, 0.1250, 0.2500)  2 Sc 2.47, 2 P 2.69
P (0.9499, 0.6250, 0.2500)  2 Sc 2.47, 2 P 2.69
P (0.3750, 0.1999, 0.7500)  2 Sc 2.47, 2 P 2.69
P (0.8750, 0.0501, 0.7500)  2 Sc 2.47, 2 P 2.69
Na (0.5000, 0.5000, 0.0000)  4 P 3.28, 4 Sc 3.64
Na (0.2500, 0.7500, 0.5000)  4 P 3.28, 4 Sc 3.64

## Properties
spin magnetization = 0.00 μB/f.u.
calculated volume = 27.58 Å³ per atom

---

Entry b
DFT (PBE) results for an optimized crystal structure of NaScP2.

abc: 4.6775 4.6775 4.6775
angles: 60.00 60.00 60.00
With the nearest neighbours (Å) after each atom.
Fractional coordinates of all 4 atoms:
Sc (0.5000, 0.5000, 0.5000)  8 P 2.86
P (0.2500, 0.2500, 0.2500)  4 Na 2.86, 4 Sc 2.86
P (0.7500, 0.7500, 0.7500)  4 Na 2.86, 4 Sc 2.86
Na (0.0000, 0.0000, 0.0000)  8 P 2.86

## Properties
spin magnetization = 0.00 μB/f.u.
calculated volume = 18.09 Å³ per atom

---

It is entry a that is the least stable of them.

---

Entry a
DFT (PBE) results for an optimized crystal structure of NaSc3P.

abc: 5.0560 5.0560 5.0560
angles: 90.00 90.00 90.00
With the nearest neighbours (Å) after each atom.
Fractional coordinates of all 5 atoms:
Sc (0.0000, 0.5000, 0.0000)  2 P 2.53
Sc (0.0000, 0.0000, 0.5000)  2 P 2.53
Sc (0.5000, 0.0000, 0.0000)  2 P 2.53
P (0.0000, 0.0000, 0.0000)  6 Sc 2.53
Na (0.5000, 0.5000, 0.5000)  12 Sc 3.58

## Properties
spin magnetization = 2.07 μB/f.u.
calculated volume = 25.85 Å³ per atom

---

Entry b
DFT (PBE) results for an optimized crystal structure of NaSc3P.

abc: 4.9933 4.9933 4.9933
angles: 90.00 90.00 90.00
With the nearest neighbours (Å) after each atom.
Fractional coordinates of all 5 atoms:
Sc (0.0000, 0.5000, 0.0000)  2 Na 2.50
Sc (0.0000, 0.0000, 0.5000)  2 Na 2.50
Sc (0.5000, 0.0000, 0.0000)  2 Na 2.50
P (0.5000, 0.5000, 0.5000)  12 Sc 3.53
Na (0.0000, 0.0000, 0.0000)  6 Sc 2.50

## Properties
spin magnetization = 0.84 μB/f.u.
calculated volume = 24.90 Å³ per atom

---

It is entry b that is the least stable of them.

---

Entry a
DFT (PBE) results for an optimized crystal structure of Na3ScP.

abc: 5.4138 5.4138 5.4138
angles: 90.00 90.00 90.00
With the nearest neighbours (Å) after each atom.
Fractional coordinates of all 5 atoms:
Sc (0.5000, 0.5000, 0.5000)  12 Na 3.83
P (0.0000, 0.0000, 0.0000)  6 Na 2.71
Na (0.0000, 0.5000, 0.0000)  2 P 2.71
Na (0.0000, 0.0000, 0.5000)  2 P 2.71
Na (0.5000, 0.0000, 0.0000)  2 P 2.71

## Properties
spin magnetization = 1.09 μB/f.u.
calculated volume = 31.73 Å³ per atom

---

Entry b
DFT (PBE) results for an optimized crystal structure of Na3ScP.

abc: 5.8469 5.8469 5.8469
angles: 90.00 90.00 90.00
With the nearest neighbours (Å) after each atom.
Fractional coordinates of all 5 atoms:
Sc (0.0000, 0.0000, 0.0000)  6 Na 2.92
P (0.5000, 0.5000, 0.5000)  12 Na 4.13
Na (0.0000, 0.5000, 0.0000)  2 Sc 2.92
Na (0.0000, 0.0000, 0.5000)  2 Sc 2.92
Na (0.5000, 0.0000, 0.0000)  2 Sc 2.92

## Properties
spin magnetization = 1.00 μB/f.u.
calculated volume = 39.98 Å³ per atom

---

It is entry b that is the least stable of them.

---

Entry a
DFT (PBE) results for an optimized crystal structure of NaSc2P2.

abc: 7.3421 7.3421 3.4978
angles: 90.00 90.00 90.00
With the nearest neighbours (Å) after each atom.
Fractional coordinates of all 10 atoms:
Sc (0.1490, 0.6490, 0.5000)  6 P 2.70-2.83
Sc (0.6490, 0.8510, 0.5000)  6 P 2.70-2.83
Sc (0.8510, 0.3510, 0.5000)  6 P 2.70-2.83
Sc (0.3510, 0.1490, 0.5000)  6 P 2.70-2.83
P (0.3468, 0.8468, 0.0000)  6 Sc 2.70-2.83, 2 Na 2.78
P (0.8468, 0.6532, 0.0000)  6 Sc 2.70-2.83, 2 Na 2.78
P (0.6532, 0.1532, 0.0000)  6 Sc 2.70-2.83, 2 Na 2.78
P (0.1532, 0.3468, 0.0000)  6 Sc 2.70-2.83, 2 Na 2.78
Na (0.0000, 0.0000, 0.0000)  4 P 2.78
Na (0.5000, 0.5000, 0.0000)  4 P 2.78
>>>

[Brief]
Now say how many lines of the rows further above hold the word "that", as a bare number.

[Reply]
3